Friday, July 29, 2011

Love {The Week}!


After VBS I took the van to get the oil changed before we headed off to the lake. Notice the glazed-over look on the kids' faces. Apparently, The Disney Channel (which we don't get at home) is quite captivating!


Ugh, I got sick at the lake. Lots of sneezing and headaches and such. This is one of the several cups of coffee I inhaled. It didn't help, but it tasted good!


Home from the lake and taking a dip in the tub. Love the little blondies taking a bath!


My husband left to be a chaperone/counselor at Junior High Camp for our church for five days. My parents sent me my favorite flowers (daisies and alstroemeria) with a passage of encouragement attached (Psalm 121) and it was a wonderful surprise! This is the longest Josh and I have been apart since we've had kids.


My dear friend Penny popped in for a surprise visit, so we loaded up the kids and headed to Chick-fil-A! I so appreciated her thoughtfulness in stopping by and it was great to wear out the kiddos before bedtime! Caleb was excited to have his picture with the CFA cow. :)


Naomi eating spinach tortellini for dinner. I have no idea why this is the only picture from Wednesday, since we had two play dates and then my parents came to visit ... but oh well! :) It works!


I had a craving for some pollo con crema at a local Mexican joint, so I loaded up the kids and we went for an early dinner together. I was a bit nervous being outnumbered by the kiddos in a restaurant that lacks a play place :), but it was so much fun! The kids were great and because the restaurant was pretty empty (remember, we went early ... it's all strategy, folks!), there was a steady stream of waiters coming by the table to tickle Naomi's chin and give Cub high-fives. They gave us the royal treatment and it was such a fun spontaneous night out with the kids! Oh, and you can't tell in this picture, but Caleb insisted on wearing his Lowe's nail apron. That only added to the cuteness. :)

I can't wait for my hubby to come home today. :)

Have a lovely weekend, friends!

Tuesday, July 26, 2011

I'm Still Here!

Hey friends!

So, for some reason I'm unable to check my blog on my computer. Weird. Not that I have much to say right now, besides the fact that I was slightly under the weather this weekend and have grand plans of laying low this week after last week's VBS!

Oh, and I tried making pancakes this morning and realized we were out of eggs. Boo.

So, let's see some pictures from VBS, shall we?

The theme was Rev It Up, which was all kinds of fun. :)

The week of VBS is focused on raising money for two missionary families. To make it fun, they split the girls and boys into teams, one missionary family for each. All week it's all about cheering for the girls' team or cheering for the boys' team!

Naomi was clearly proud to be on the girls' team. :) On the last day at the opening assembly, the final offering is taken.

Caleb and his bag of change!

My fellow nursery workers and I wheeled the babies into the assembly in one of the cribs so they could give their pennies, too! (But mostly so everyone could Ooo and Ahh at their cuteness!)

In the end, over $16,000 was raised for the families. The total, of course, was split down the middle and both families got an equal amount. :) Throughout the week, the kids were able to Skype with the missionaries, which was great! Caleb loved it and every day since has asked when we're going back. :)

Now I have a toddler trying to crawl in my lap and a baby girl babbling over the monitor--time to figure out breakfast!

Have a lovely day. :)

- Posted using BlogPress from my iPhone

Wednesday, July 20, 2011

Wednesday With a Few Words: It's VBS Week!

8:14am: Hair coifed, shirt ready, heart cheery.


It's way fun. But way tiring.

But I'm way glad I get to help out this week. :)

Have a lovely day!

Monday, July 18, 2011


The first time I ever had an up close and personal encounter with a weed was the summer after my freshman year of college. I was working at a girls' home in New England and the home was a renovated farmhouse, situated on acres of land, complete with crops, cows, chickens, etc. I was an intern that summer and we all helped with chores, one of which was weeding.

I had weeded here and there throughout my childhood, of course, but I'll never forget the weeds I stumbled upon while working my way through the rows of the corn crop. The corn was just beginning to grow and as I hunkered down next to a stalk to paw through the dirt, I glanced over and noticed that a weed had wound itself around the helpless plant. I began pulling at the bottom and had to unwrap the weed from the stalk, around and around and around and around. When I finally unraveled the entire weed, it was huge. Long. It was hard to believe that it was barely noticeable at first glance whilst wrapped around the stalk. I saw for the first time in a very blatant way how weeds "choke" plants. It isn't just a figure of speech--they actually strangle.

Strange as it seems, I found myself getting really ticked off at that weed. I mean, it was kind of horrific when you think about it: A silent killer that slowly wraps itself around its prey until that prey dies. I mean, seriously! Sure, it was just a weed, but it had overtaken that entire corn stalk. It just sickened me, really.

Now that we've moved to a bit more land, I've done my fair share of weeding. And every time I reach down to snatch a weed from our landscaping out front, I can't help but remember my time up North and my first real encounter with weeds. Even though I can't see the weed wrapping around the plants like I could with the corn stalk, I know that's what's happening under the surface of the soil, which is why the removal of the roots is the key to eliminating the weed effectively.

I totally understand, now, the frustration of recurring sin and its similarity to weeds. For me, it's insecurity. Insecurity in how I raise my kids, how I look, the kind of wife I am, the kind of friend I am, the list goes on. And even when I think I have everything under control, I know that, beneath the surface, the attack still wages on.

And, really, that's the tricky thing with weeds. Even after they are gone and the surface of the soil is clean and smooth, their reappearance is inevitable. Weeds come back again and again because they are wild and it's what they do. You can't hate a weed for serving its purpose. So, you prevent. You lay down good soil and a barrier and you stay on guard. At the first sign of a weed, you snatch and spray and return to your post, ready to pounce. When I've prayed, sought godly counsel, and spent time reading Scripture, my insecurities begin to pale. I'm on guard. But when I let that guard down, I'm amazed at how quickly they spring up again.

I hope this doesn't seem like too cheesy of a comparison, but it's just a poignant one for me that I wanted to share with you. It's kind of where I'm at right now. And I want to encourage you to be on your guard today--that you will choose to bask in God's goodness and love, rather than fall prey to the disarming lie of sin.

That's all. Have a lovely day, friends.

Friday, July 15, 2011

Friday Love {The Week}!


The kiddos accompanied me to Home Depot. I love the carts and I love the two cuties sitting in the cart even more! Apparently, they get just as excited about paint as I do.


My Dad installed a dimmer for the kitchen can lights! I like dim light. All of the time. Now these lights will actually be used. :)


Big brother was at the lake with his grandparents, so my little lady and I enjoyed homemade blueberry pancakes (I'm obsessed with making my own pancake mix, but apparently I am not obsessed with emptying the kitchen trash promptly) together. She was a blue-stained cutie by the end of it all and a morning bath was necessary. :)

That night, I had a craving for crab cakes. Mmm. Crab cakes. The tint on the picture makes them look black, but, I promise, they were toasty good!


My iPhone case came in! Yay! Thank you to my dear friend for sharing her cool connections with me. Because she's way cooler than me. :)


Caleb came home from the lake, which meant a celebratory dinner in honor of his return! Homemade fried rice (he loves rice) and from-scratch white chocolate cupcakes with homemade oreo buttercream frosting. Dangerous and amazing. I'll post the cupcake recipe next week--it really is a good one!


Little Miss after her little buddy left after a fun dinner together. It was so sad!

There you have it, friends!

Have a lovely weekend.

Wednesday, July 13, 2011

Before and After: Guest Bathroom!

We've been in the house for a few months now and I'm finally over the moving funk, ready to stretch my wings and start taking ownership of decorating this house and making it our home.

My first little project was the guest bathroom. Behold, the guest bedroom:

While the walls remain blank (and I don't really mind) and the bed needs some pillows (they'll come eventually), you can see the overall mood we're going for here: Calm, clean, and peaceful. Our guests have a quaint window seat that overlooks the front lawn and the pond, and the white Shabby Chic bedding is begging for someone to climb beneath its fluffy folds. The suitcase side-table emphasizes our rest-for-the-weary-traveler theme, and overall I love this room.

Then there's the bathroom.

The sink and cupboards are just fine ...

(Sorry the picture is dark, I took these with my phone!) I love the white cabinets, the neutral walls, the silver fittings ... it matches the quaintness of the bedroom well.

Then. Then there's this:

This gem of a mistake was hanging over the toilet. I'm not sure what the previous homeowners were thinking with this last-minute addition, but not only is the color terribly wrong from the wood stain to the gold fixtures (gah), but they also hung it UPSIDE DOWN. Last I checked, the arches on cabinet doors are traditionally at the top (this is the kind of stuff that my Dad, a private contractor, embedded into my brain as an INEXCUSABLE MISTAKE). Our cupboard looked like an unfortunate mismatched piece of laziness adorned with two very pronounced "U"'s.

I tried to take it off of the wall so I could paint it and hang it properly, but this beauty was stuck tight. So, I taped around it and painted it right where it was, using a dry-brush technique to give it an aged look. I removed the cabinet doors, bought new silver hinges and sparkly clear knobs (note the rings on the shower curtain, continuing the Shabby Chic/New Romanticism theme I'm in love with), and with the help of my Dad, Humpty Dumpty was put back together again.

Back, and better than ever. :)

One project to check off the list! The den is our next endeavor ... stay tuned!

Have a lovely day.

Monday, July 11, 2011

Hotter Than Hot.

I don't know about y'all, but we're definitely enduring a stifling heat wave here in Oklahoma. Couple the August-like temps with good ol' Midwest humidity and you've got blazing hot days and not much relief at night.

My friend did a little survey on Facebook to see how the temps were in other places, too, so I thought I'd give it a go on my blog to see how the weather was treating my fellow bloggy friends!

This is what I want to know:
1) What part of the country you are in (regions are good--I never give the name of my specific town and don't expect you to, either)
2) The current time
3) The current temperature

You can list the heat index, too, if you want to, although I don't think it makes much of a difference once you get past 100, ha ha. :)

Here's my info:
1) Northeast Oklahoma
2) 3:26pm
3) 104 degrees

Yeesh. The temps keep climbing! What's it like where you live?

Have a lovely day!

For Your Viewing Pleasure.

My eighth grade history teacher recently posted this picture of me on Facebook.

That's right. While the cool kids were rocking their Z. Cavaricci's, this California girl was rocking really awful imitation Shannon Doherty bangs.

And, history books, apparently.

I know you're jealous of the awesomeness. It's okay.

Have a lovely day.

Friday, July 8, 2011

Blast. Off.

I jumped in the car this morning to grab some coffee at my new favorite coffee joint in town and, rather than turning on the kiddos' CD, I instead tuned into a local country station (I live in Oklahoma, remember). As we neared our drive-thru destination, the host of the morning show announced that a viewing of the space shuttle Atlantis launch could be seen at the Planetarium of a local Air and Space Museum and as I turned up the volume, he shared about the poignancy of this launch, the last manned shuttle launch of the space program.

Last manned shuttle?

I peered in the rearview mirror, saw my two kiddos smiling back at me, and decided that the Planetarium was exactly where we needed to be. It was still early, but I was now on my own mission of making this mini trip happen, in a blaze of the-kids-need-to-experience-this glory. I called my friend and told her about the launch and asked if she wanted to enjoy a historical adventure (and a chaotic one), a challenge which she graciously accepted. I came home, packed some snacks, put on makeup, and went to pick up my friend and her daughter. As we cruised in the minivan to the Planetarium, we reminisced on what the space program was like when we were kids. Who didn't want to go to space? Most kids, at some point, want and expect to experience space travel. When I was Cub's age, the Challenger shuttle had just been lost and the country mourned together the brave souls who were so close to space but never made it there. The space program was an important part of our education and it was a little sad to think that our kids, while they will probably be exposed to the exploration of space, won't necessarily live in a country that budgets for its own astronauts to go there. An understood cut, but a sad one, nonetheless. The end of a chapter in an endless book.

We pulled into the parking lot, put the girls in the jogger, and headed inside. By this time it was standing room only, the dark room full of spectators and local TV crews filming the launch on the large screen. We got there with nine minutes to spare and watched as mission control gave the go and charged the shuttle with safety and "godspeed". Those few minutes were punctuated with switching the babies and taking trips to the lobby to walk around, but when the twenty second mark came, we were all in there together, standing at the very back, watching history unfold. Cub held onto his Bullseye horse and watched in complete silence and astonishment as fire poured out of the burners. When the countdown came to ten, everyone in the Planetarium started counting out loud, the excitement building with each number. When it came to ONE! all of the cell phones came out, snapping pictures of the shuttle as it poured smoke, trembled, and all 4 million pounds of fuel and ship slowly rumbled and lifted off of the ground. There were cheers, and, I'm sure, a few tears.

And that was it. Within a few minutes, the moment was over.

We gathered the kids and schlepped them back to the car, and drove home.

I know that the kids won't remember what they saw today (although Cub loves saying, "Today I saw a space shuttle fly high in the sky!"), but I love that they were able to experience the poignancy of sending their fellow countrymen to space for the last time, for a long time. To enjoy, for a few moments, the unifying excitement that it brings, in that small Planetarium, full of strangers who, on a countdown from ten, cheered for the same thing.

To remember that, no matter how frequent, it is a bit of a miracle to witness men piercing our atmosphere, forging into the vastness of outer space.

Have a lovely day.

Thursday, July 7, 2011

If This Never Happens To You, I'll Go Ahead And Bury My Head In The Sand.

The other day I decided to make some cinnamon rolls for my husband. He had eaten some at the party the previous night that made him swoon, so I figured I would try to replicate the awesomeness so he could have some sweets to take to work.

I started in the evening and about halfway through, I realized this was going to be a rather lengthy endeavor. The kids were getting restless and cranky and were pulling on my legs as I rolled out the dough. My husband and I got them to bed and I returned to the kitchen to finish the rolls. I can't pintpoint exactly the moment of epic failure, but between too much butter, a misread extract, and not enough dough, I found myself up to my armpits in what I thought was perhaps an unsalvageable mess. But, I forced through and my determination resulted in three pans of cinnamon rolls. Fresh out of the oven, they tasted pretty good. At least, I thought so.

My husband tried one and nodded and said it was okay.

That's it.

My hours of slaving for a nod of the head and a "it's okay".

I'm not sure what snapped in my head, perhaps a feeling of underappreciation mixed with exhaustion (and, let's not forget, pregnancy hormones), but I gave him a glare and with much dramatic huffing and flailing of arms, I stormed to the bedroom and shut the door.

A few moments later he cracked it open and asked if I was okay.

And then the crying started.

The ugly crying. The heaving. I can't remember the following conversation verbatim, but here's the basic gist of it:


"I didn't say that!"


(Snort, snort, sniffle.)

"It's fine! They weren't bad!"


"KATIE. The cinnamon rolls are fine! I appreciate you making them!"


"Uh, okay. Don't clean it then!"



"Um, what?"


"I thought we were talking about cinnamon rolls."


"Uh, Katie?"


"Oh boy."


"Oh geez. Okay. Katie, I think you're overthinking this ..."


"Calm down. You do a great job."


"Katie, go to bed."

"I'M JUST ... I'm just ... (sob, sob)"

"You're tired."

"I'm tired."

"It's not about the cinnamon rolls."

"It is a little."

"Go to bed."


"Go to bed."



And I did.

(The text is interrupted by records of molecules)
- - -
No. 1
# C5H6O3Rh

A structure of composition C5H6O3Rh (the ωB97M-V functional and the def2-TZVPD basis, OMol25).

Each line ends with the natural charge from an NBO analysis.
Geometry (Å):
O 2.62 0.79 -0.48  -0.731
C 1.57 0.20 -0.36  1.029
O 0.47 0.55 -0.98  -0.444
O 1.41 -0.87 0.40  -0.458
C 0.05 -1.32 0.34  -0.105
C -0.62 -0.35 -0.64  0.059
C -1.77 0.44 -0.06  -0.609
C -1.56 1.23 1.09  -0.051
Rh 4.56 0.46 0.21  0.922
H -0.37 -1.26 1.35  0.227
H 0.05 -2.36 -0.02  0.223
H -0.92 -0.84 -1.58  0.226
H -2.62 -0.22 0.26  0.264
H -2.12 1.57 -0.47  0.318
H -0.76 1.98 0.95  0.130

LUMO energy (spin up / spin down) = -5.153 / -5.486 eV
Total charge = +1
Energy = -529.86647 a.u.
Kohn-Sham gap (spin up / spin down) = 5.82 / 8.68 eV
Highest occupied orbital energy (spin up / spin down) = -11.0 / -14.2 eV
Spin multiplicity = 5

---

No. 2
# C5H6O3Tl

A structure of composition C5H6O3Tl (the ωB97M-V functional and the def2-TZVPD basis, OMol25).

Each line ends with the Löwdin spin population.
Geometry (Å):
C 0.08 1.29 -2.56  0.730
C 0.43 0.06 -1.80  0.127
C 0.67 0.29 -0.33  0.010
C 0.86 -0.69 0.56  -0.004
O 1.70 -1.17 1.30  -0.002
Tl 1.39 -0.97 3.51  0.000
H -0.05 1.24 -3.65  0.042
H -0.27 2.19 -2.05  0.046
H 1.33 -0.42 -2.24  0.021
H -0.37 -0.69 -1.97  0.033
H 0.22 1.17 0.15  0.000
O -2.79 -0.78 2.41  -0.001
O -0.70 -0.39 3.17  0.000
C -1.63 -0.46 2.35  -0.001
H -0.89 -0.66 1.15  0.000

LUMO energy (spin up / spin down) = -0.609 / -0.614 eV
Energy = -592.12340 a.u.
Kohn-Sham gap (spin up / spin down) = 7.40 / 7.42 eV
Highest occupied orbital energy (spin up / spin down) = -8.0 / -8.0 eV
Relative energy (zero: lowest compared OMol25 entry of this formula, charge and spin) = 3.033 eV
Spin multiplicity = 2

=====

# 1
DFT (ωB97M-V/def2-TZVPD) results for a molecular structure, C48H46N5O6PRbS2 in a non-equilibrium geometry.

Net charge: -1
Relative energy (zero: lowest compared OMol25 entry of this formula, charge and spin): 39.1 kJ/mol
HOMO-LUMO gap: 5.47 eV
2S+1: 1
Electronic energy: -3743.71084 Eh

Last column: Mulliken charge in e.
Atoms and positions in Å:
Rb1 1.132 -0.635 0.606  1.007
C1 3.154 -1.895 3.581  -0.220
C2 2.554 -3.125 3.343  -0.226
C3 2.845 -3.828 2.181  -0.333
C4 3.727 -3.299 1.249  -0.143
C5 4.329 -2.069 1.487  -0.435
C6 4.047 -1.371 2.656  -0.300
H1 2.908 -1.334 4.473  0.248
H2 1.842 -3.524 4.055  0.333
H3 2.358 -4.774 1.983  0.349
H4 3.927 -3.838 0.331  0.274
H5 5.014 -1.649 0.760  0.288
H6 4.516 -0.414 2.843  0.312
C7 -2.337 -3.406 4.657  -0.449
C8 -1.348 -2.477 4.954  -0.518
C9 -1.167 -1.354 4.151  -0.094
C10 -1.976 -1.147 3.037  0.146
C11 -2.948 -2.103 2.729  -0.441
C12 -3.139 -3.215 3.537  -0.850
P1 -1.799 0.285 1.885  0.829
C13 -3.503 0.990 2.055  -0.440
C14 -4.120 1.563 0.948  -0.093
C15 -5.363 2.181 1.056  -0.705
C16 -6.012 2.221 2.280  -0.443
C17 -5.410 1.646 3.396  -0.658
C18 -4.167 1.040 3.282  -0.140
C19 -0.797 1.514 2.794  1.567
C20 -1.263 2.806 3.072  -0.525
C21 -0.378 3.755 3.571  -0.775
C22 0.947 3.399 3.796  -0.613
- - -

Have a lovely day.

Wednesday, July 6, 2011

Wednesday With A Few Words: Party Pictures From My Phone.

(Maybe it was more than ten boxes.)

(You can see the second flag in the background.)

(Yummy Marshmallow Pops! I found the idea here, but omitted the peanut butter and used white chocolate instead.)

(It was quite toasty outside.)

(Part of the group!)

Have a lovely day!

Tuesday, July 5, 2011

A Happy Fourth.

Ten boxes of fireworks


Sixty-five guests


Kiddos splashing in the pool


A ferocious game of backyard volleyball


Lots of laughing and chatting with friends and family


A few children's tears from the fireworks' BOOM!


Lawn chairs


A table filled edge-to-edge with pies, cookies, cake, chips, deviled eggs, cobbler, and homemade ice cream


Disc golf and Bocce Ball in the front yard


Tiki torches


Flags and sparklers


Bug spray


One heck of a Fourth of July.

(And two very, very exhausted hosts. YAY for coffee.)

(And yay for a home where we can do stuff like this--a dream come true for us. Exhaustion is a bit more tolerable when it's accompanied by joy. What fun memories were made!)

I hope your Fourth was a good one!

Have a lovely day.

Monday, July 4, 2011

Secure the Blessings of Liberty.

Thanks to Schoolhouse Rock, I learned the Preamble to the Constitution in elementary school.

We the People of the United States, in order to form a more perfect Union,
establish justice, insure domestic tranquility,
provide for the common defense,
promote the general Welfare and secure the blessings of liberty
to ourselves and our Posterity,
do ordain and establish this Constitution of the United States of America.

The words are just as poignant today as they were 235 years ago.

Happy Independence Day, friends. Be safe.

Have a lovely day.